L'Enfant's Funeral: An Honor 84 Years Overdue
Data records from another source follow:
........
Entry 1:
This entry pairs a crystal structure of TlSiHgF6 with its calculated PXRD pattern. Radiation: Cu Kα, 1.54184 Å. Structure: a structure optimized by DFT (PBE).
Neutral-atom scattering factors, no anomalous dispersion.

Crystal structure
```
TlSiHgF6
1.0
5.1166 0.0000 0.0000
0.0450 6.0967 0.0000
0.0225 3.0470 5.3972
Tl Si Hg F
1 1 1 6
direct
0.0000 0.0000 0.0000
0.4988 0.6661 0.6678
0.5014 0.3356 0.3287
0.3032 0.4401 0.8939
0.3032 0.6666 0.4415
0.3069 0.9000 0.6681
0.6907 0.4308 0.6704
0.6944 0.6683 0.8929
0.6945 0.8906 0.4406
```

Principal peaks in the range 10 to 80 degrees two-theta, in order of rising 2θ:
| two_theta | I/Imax | index |
| --- | --- | --- |
| 23.97 | 98 | 1 0 1 |
| 24.08 | 100 | 1 1 0 |
| 24.24 | 98 | -1 1 1 |
| 28.81 | 83 | 0 1 2 |
| 29.30 | 40 | 0 2 1 |
| 37.69 | 32 | 1 0 -2 |
| 38.09 | 30 | 1 2 2 |
| 45.92 | 36 | 2 1 2 |
| 46.11 | 37 | 2 -1 1 |
| 48.12 | 31 | 1 -1 2 |

---

Entry 2:
This entry pairs a crystal structure of SmHg2F8 with its calculated PXRD pattern. Radiation: Cu Kα, 1.54184 Å. Structure: a structure optimized by DFT (PBE).
Neutral-atom scattering factors, no anomalous dispersion.

Crystal structure
```
SmHg2F8
1.0
7.1696 0.0000 0.0000
-3.5848 6.2091 0.0000
0.0000 0.0000 4.4315
Sm Hg F
1 2 8
direct
0.0000 0.0000 0.0000
0.3333 0.6667 0.7344
0.6667 0.3333 0.2656
0.1546 0.3120 0.7404
0.1574 0.8454 0.7404
0.3120 0.1574 0.2596
0.3333 0.6667 0.2352
0.6667 0.3333 0.7648
0.6880 0.8426 0.7404
0.8426 0.1546 0.2596
0.8454 0.6880 0.2596
```

Principal peaks in the range 10 to 80 degrees two-theta, in order of rising 2θ:
| two_theta | I/Imax | index |
| --- | --- | --- |
| 24.68 | 95 | 1 0 1 |
| 24.84 | 100 | 1 1 0 |
| 35.30 | 20 | 0 2 1 |
| 43.36 | 18 | 0 1 2 |
| 43.67 | 69 | 3 0 0 |
| 50.61 | 17 | 2 0 2 |
| 50.95 | 23 | 2 2 0 |
| 57.18 | 19 | 3 -2 2 |
| 57.41 | 19 | 4 -3 1 |
| 69.32 | 22 | 1 4 0 |

---

Entry 3:
This entry pairs a crystal structure of SnHg12F7 with its calculated PXRD pattern. Radiation: Cu Kα, 1.54184 Å. Structure: a structure optimized by DFT (PBE).
Neutral-atom scattering factors, no anomalous dispersion.

Crystal structure
```
SnHg12F7
1.0
4.1985 0.0000 0.0000
1.8736 10.5669 0.0000
1.9885 2.2518 11.6025
Sn Hg F
1 12 7
direct
0.0000 0.0000 0.0000
0.0363 0.3634 0.3549
0.0647 0.3175 0.6915
0.1367 0.9916 0.4258
0.1919 0.6917 0.7253
0.2087 0.3720 0.0918
0.2312 0.5667 0.5245
0.4649 0.4080 0.8404
0.5946 0.9062 0.6719
0.6035 0.5991 0.2944
0.6200 0.6285 0.0628
0.6945 0.1787 0.5796
0.7687 0.8049 0.3828
0.0622 0.0473 0.8298
0.0854 0.8145 0.9893
0.4339 0.1797 0.3941
0.5021 0.9972 0.9991
0.7041 0.6196 0.8766
0.9072 0.1844 0.0094
0.9512 0.9508 0.1694
```

Principal peaks in the range 10 to 80 degrees two-theta, in order of rising 2θ:
| two_theta | I/Imax | index |
| --- | --- | --- |
| 22.99 | 81 | 0 0 3 |
| 24.94 | 71 | 1 2 1 |
| 25.29 | 53 | 1 -1 1 |
| 26.59 | 50 | 1 2 2 |
| 28.59 | 57 | 1 1 3 |
| 30.36 | 100 | 0 1 4 |
| 30.78 | 72 | 1 -2 1 |
| 31.36 | 62 | 1 3 0 |
| 33.94 | 53 | 1 0 -3 |
........

L'Enfant's second burial drew a large crowd to the portico of the old Lee mansion in 1909. (Source: Library of Congress)
At noon on April 28, 1909, a funeral procession nearly a mile long paraded down Pennsylvania Avenue and M Street, complete with fine carriages and a military escort. Throughout Washington, D.C., flags were displayed at half mast, spectators lined the streets, and school children were allowed a break from their studies to glimpse out the window and see it pass by.[1]
The cortège was coming from the Capitol rotunda, where Washingtonians had paid their respects to the man in the flag-draped casket before he was buried at Arlington Cemetery. Up to that point, the only other people who had the honor to lie in the rotunda were Abraham Lincoln, Thaddeus Stevens, Salmon P. Chase, Charles Sumner, James A. Garfield, John A. Logan, and William McKinley.[2]
And the man receiving that honor now was a hero of the American Revolution, the brilliant engineer who laid out many of the plans for the Nation’s Capital as we know it today —Major Pierre Charles L’Enfant… who died in 1825.
The pomp and circumstance of L’Enfant’s burial came 84 years late, so where had he been during all that time?
On a farm in Prince George’s County, Maryland, as it turns out. His body lay in an unmarked grave on the “Green Hill” estate, which belonged to his friend William Dudley Digges.[3]
To make up for all those lost years, several Supreme Court Justices, President Taft, Vice President Sherman, and French Ambassador Jusserand were all present at the ceremonies of 1909. A few of these men tried to explain the tardiness of the honor. The Vice President lauded L’Enfant’s skill in designing the District:
These plans, which are now universally praised, were laughed at, derided and set aside as being too expensive and too ambitious at the time they were made; but it is to L 'Enfant 's adherence to his original idea and his belief in the future greatness of this country, that the beauty of this city is due."[4]
Ambassador Jusserand added, “What followed for the city and him is known to all: while the city slowly grew, his own fortunes dwindled."[5]
And so, nobody paid much attention to L’Enfant until around the centennial of Washington, D.C., in 1900. A L’Enfant club was formed in 1892,[6] and in the early twentieth century there were movements for memorials and statues to be dedicated to the engineer.[7]
In 1904, Dr. James Dudley Morgan, ancestor of William Dudley Digges, lobbied to mark L’Enfant’s grave at Green Hill and perhaps create a fitting monument to him in Washington:
It is a fact of family tradition that many of his days at Green Hill were passed in laying out a miniature garden with walks and boulevards radiating like the streets and avenues of our Federal city… Congress might be satisfied to erect a monument to his memory in the city of Washington, and leave his dust to rest undisturbed where he passed the last years of his sad life.”[8]
That was the plan, until city commissioners realized that the current owners of Green Hill, the Riggs family, would not consent to permanently donate a part of their land[9] or provide a right of way to visitors of L’Enfant’s tomb.[10]
So L’Enfant’s remains would go to a new home. The Cathedral of St. Peter and St. Paul (the Episcopal Washington National Cathedral) offered to take them.[11] But perhaps because L’Enfant was a Catholic, in 1908, with the approval of the Riggs family, it was determined that he would be reinterred in the fall of that year on the grounds of the Catholic University of America.[12]
Exactly what went on behind the scenes to change the site and date of L’Enfant’s burial is unclear, but it might have had something to do with his military service. In December of 1908, when D.C. Commissioners announced plans to bury him at Arlington, Commissioner Henry MacFarland apologized for the delay, telling the Evening Star that he had “learned from the War Department that the remains could be properly interred as those of a soldier of the nation. The place seemed appropriate because it is a national cemetery, belongs to the United States and overlooks the city of Washington.”[13]
With respect to religion, Father William T. Russell of Saint Patrick’s Church, where L’Enfant had been a parishioner, was to consecrate the ground and preside over the ceremony at Arlington.[14]
And so, on April 22, 1909, a small group set out to the unmarked grave at Green Hill to dig up the now-famous engineer. Dr. Morgan described the scene vividly:
The tall, slender tree which marked the spot where the Franco-American lay, and which had been planted at the head of the grave at the time the body was buried, June 14, 1825, had first to be carefully cut down before the work of transferring the body to a hermetically sealed casket could be begun. A thunder storm interrupted the operations for twenty minutes after the ground had been broken, then the digging of the grave was continued, in silence, for an hour or more… As the party stood with uncovered heads around the excavation, the transfer of the remains of the famous engineer was begun. A cardinal bird, sitting in a near-by tree, sang almost continuously during the work at the grave.”[15]
According to The Washington Post, “discolored mold 3 inches in thickness, two pieces of bones, and a tooth were all that remained of the engineer,” but these were collected and stored in a vault at Mt. Olivet Cemetery, awaiting the day of the funeral six days later.[16]
The funeral itself was a grand one. By the time the procession made its way to Arlington, hundreds were gathered on the hill just in front of Mary Custis Lee’s (wife of Robert E. Lee) former mansion for a moment of silence, followed by three thundering volleys fired by the 15thCavalry of the U.S. Army Corps of Engineers. A lone bugler played taps, and then Father Russell stepped up to pray over the gravesite.[17]
The burial went so well that Ambassador Jusserand remarked, “This impressive ceremony today is more than enough to recompense for all that Maj. L’Enfant did for the country he loved so well.”[18] But this commemoration was by no means over.

Two years later, on May 22, 1911, hundreds of people again crowded the portico of Lee’s old mansion—this time to see L’Enfant’s grave marked as he deserved. Above the inscription on the new marble slab was an etching of L’Enfant’s original map of D.C.[19]
Some of the wood from the only headstone L’Enfant had known up to this point, the cedar tree that stood over his first grave at Green Hill, was fashioned into a cane and presented to a grateful President Taft about a month after L’Enfant’s new grave marker was unveiled.[20]
During the unveiling ceremony, overlooking the city of Washington, D.C., Taft expressed his deep respect for L’Enfant.
We are here to celebrate the last rites of the man who designed the plan, the execution of which has made Washington beautiful. There are not many who have to wait 100 years to receive the reward to which they are entitled until the world shall make the progress which enables it to pay the just reward … L’Enfant will now lie here appropriately in state and in rest, with the gratitude of the nation that he served so well.”[21]
- ^ “Burial of L’Enfant: Program for Ceremonies to Be Held Tomorrow.”Evening Star, April 27, 1909: 4, accessed June 18, 2019, https://infoweb.newsbank.com/resources/doc/nb/image/v2:13D5DA85AE05A305@EANX-NB-142DD2C2F1628C30@2418424-142D808A12490F90@3-142D808A12490F90@?p=WORLDNEWS.
- ^ Morgan, James Dudely. “The Reinterment of Major Pierre Charles L’Enfant.” Records of the Columbia Historical Society, Washington, D.C., Vol. 13 (1910), pp. 119-125,Historical Society of Washington, D.C. 125. https://www.jstor.org/stable/40067014.
- ^ Ibid., 118.
- ^ “Honor to L’Enfant Tardy but Sincere.” Evening Star, April 28, 1909: 1, accessed June 18, 2019, https://infoweb.newsbank.com/resources/doc/nb/image/v2:13D5DA85AE05A305….
- ^ Ibid.
- ^ "Relics of Maj. L'Enfant.: Meeting of the Club which will Perpetuate his Memory." The Washington Post (1877-1922), Aug 21, 1892. https://library.access.arlingtonva.us/login?url=https://search-proquest…;
- ^ Monument to Maj. L'Enfant." The Washington Post (1877-1922), Mar 29, 1904. https://library.access.arlingtonva.us/login?url=https://search-proquest-com.library.access.arlingtonva.us/docview/144491354?accountid=57895. and"Will Move L'Enfant's Body.: Commissioners to Carry Out Action Authorized by Congress." The Washington Post (1877-1922), Dec 05, 1908. https://library.access.arlingtonva.us/login?url=https://search-proquest…;
- ^ "Honors to L'Enfant: Monument in Washington and Stone over Grave." The Washington Post (1877-1922), Oct 01, 1904. https://library.access.arlingtonva.us/login?url=https://search-proquest…;
/*
This entry pairs a crystal structure of Mg3Si4 with its simulated powder XRD pattern. Radiation: Cu Kα. Structure: a cell relaxed with PBE.
No peak broadening, texture or thermal motion is included.

Structural model:
Unit cell a=5.0445 b=7.3533 c=7.9166 alpha=74.22 beta=71.62 gamma=83.73
Space group P1 (No. 1)
Symmetry-distinct sites (fractional):
Mg  0.0000  0.0000  0.0000
Mg  0.0818  0.3011  0.4985
Mg  0.2059  0.4044  0.0222
Mg  0.3879  0.9606  0.2766
Mg  0.6218  0.7400  0.9334
Mg  0.8481  0.7137  0.5439
Si  0.2466  0.7297  0.7368
Si  0.3935  0.5861  0.4773
Si  0.4641  0.0372  0.6309
Si  0.5322  0.1215  0.8851
Si  0.6213  0.3767  0.1902
Si  0.7995  0.3845  0.8474
Si  0.8238  0.6465  0.2256
Si  0.8373  0.1000  0.3467

Most intense lines, 5 to 70 degrees two-theta, in order of rising 2θ:
two_theta	d (Å)	I (rel.)
24.7	3.610	513
31.8	2.814	535
34.5	2.599	569
35.4	2.535	1000
36.7	2.451	931
37.0	2.427	415
37.8	2.382	755
38.2	2.358	717
38.2	2.353	639
40.1	2.250	839
*/
- ^ The Riggs family would erect a cenotaph years later on the site of L'Enfant's original grave at Green Hill.
"E. Francis Riggs standing by stone slab which he had erected in honor of Pierre Charles L'Enfant." Photographic Print. Underwood & Underwood, July, 1925. Library of Congress Prints and Photographs Division. https://lccn.loc.gov/2002714499. - ^ "Grave of Maj. L'Enfant.: Riggs Heirs Decline to Grant Space for Proposed Monument." The Washington Post (1877-1922), Apr 16, 1905. https://library.access.arlingtonva.us/login?url=https://search-proquest…;
# Inserted here: crystal structures
┌──
[1]
# Li2Sm4Cd5
Calculated powder XRD pattern, CuKα. Input: a DFT-relaxed cell (PBE, Alexandria).
Peak positions follow from Bragg's law for the DFT cell and can differ from measured ones.

Cell and atoms:
Cell: 7.9265 3.5182 10.3227 Å, 90.00 94.08 90.00°
Space group P2/m (No. 10)
One atom of each set of equivalent atoms:
Li  0.0578  0.0000  0.1326 (multiplicity 2)
Sm  0.1707  0.5000  0.3888 (multiplicity 2)
Sm  0.2880  0.5000  0.9338 (multiplicity 2)
Cd  0.1906  0.0000  0.6666 (multiplicity 2)
Cd  0.4198  0.0000  0.2034 (multiplicity 2)
Cd  0.5000  0.0000  0.5000 (multiplicity 1)

Main lines, sorted by position (5 to 70 degrees two-theta):
2theta  d (Å)  I (rel.)
32.41  2.763  100
33.28  2.692  78
34.52  2.598  76
35.65  2.518  59
35.84  2.505  74
35.91  2.501  71



[2]
# LiSm2Cd
Calculated powder XRD pattern, CuKα. Input: a DFT-relaxed cell (PBE, Alexandria).
Peak positions follow from Bragg's law for the DFT cell and can differ from measured ones.

Cell and atoms:
Cell: 7.5818 7.5818 7.5818 Å, 90.00 90.00 90.00°
Space group Fm-3m (No. 225)
One atom of each set of equivalent atoms:
Li  0.0000  0.0000  0.0000 (multiplicity 4)
Sm  0.2500  0.2500  0.2500 (multiplicity 8)
Cd  0.0000  0.0000  0.5000 (multiplicity 4)

Main lines, sorted by position (5 to 70 degrees two-theta):
2theta  d (Å)  I (rel.)
20.29  4.377  16
23.47  3.791  22
33.43  2.681  100
48.00  1.895  18
54.09  1.695  10
59.75  1.548  37



[3]
# Li4SmCd
Calculated powder XRD pattern, CuKα. Input: a DFT-relaxed cell (PBE, Alexandria).
Peak positions follow from Bragg's law for the DFT cell and can differ from measured ones.

Cell and atoms:
Cell: 7.8644 7.8644 7.8644 Å, 90.00 90.00 90.00°
Space group F-43m (No. 216)
One atom of each set of equivalent atoms:
Li  0.1231  0.1231  0.3769 (multiplicity 16)
Sm  0.0000  0.0000  0.0000 (multiplicity 4)
Cd  0.2500  0.2500  0.7500 (multiplicity 4)

Main lines, sorted by position (5 to 70 degrees two-theta):
2theta  d (Å)  I (rel.)
19.55  4.541  100
32.19  2.780  96
37.95  2.371  69
50.59  1.804  24
57.40  1.605  36
61.24  1.514  22



[4]
# LiSmCd6
Calculated powder XRD pattern, CuKα. Input: a DFT-relaxed cell (PBE, Alexandria).
Peak positions follow from Bragg's law for the DFT cell and can differ from measured ones.

Cell and atoms:
Cell: 4.9552 4.9552 25.2764 Å, 90.00 90.00 120.00°
Space group R-3m (No. 166, hexagonal axes)
One atom of each set of equivalent atoms:
Li  0.0000  0.0000  0.0000 (multiplicity 3)
Sm  0.0000  0.0000  0.5000 (multiplicity 3)
Cd  0.0000  0.0000  0.1129 (multiplicity 6)
Cd  0.0000  0.0000  0.2478 (multiplicity 6)
Cd  0.0000  0.0000  0.3683 (multiplicity 6)

Main lines, sorted by position (5 to 70 degrees two-theta):
2theta  d (Å)  I (rel.)
32.40  2.763  18
35.28  2.544  94
36.26  2.478  100
51.48  1.775  31
64.59  1.443  31
65.22  1.430  17



[5]
# LiSmZnCd
Calculated powder XRD pattern, CuKα. Input: a DFT-relaxed cell (PBE, Alexandria).
└──
# The crystal structures stop here
- ^ "Offers Grave for L'Enfant: Bishop Satterlee Tenders Site in Grounds of Cathedral." The Washington Post (1877-1922), Oct 14, 1904. https://library.access.arlingtonva.us/login?url=https://search-proquest….
- ^ "Will Move L'Enfant's Body.: District to have it Reinterred in Catholic University Campus." The Washington Post (1877-1922), Jul 18, 1908. https://library.access.arlingtonva.us/login?url=https://search-proquest-com.library.access.arlingtonva.us/docview/144834985?accountid=57895. And “To Move L’Enfant’s Body: Catholic University Campus Site for Memorial” Evening Star, July 17, 1908: 2, accessed June 20, 2019, https://infoweb.newsbank.com/resources/doc/nb/image/v2:13D5DA85AE05A305…@?p=WORLDNEWS.
- ^ “To Move L’Enfant’s Body: Will be taken from Digges Farm to Arlington.” Evening Star, December 04, 1908: 22, accessed June 20, 2019, https://infoweb.newsbank.com/resources/doc/nb/image/v2:13D5DA85AE05A305…@?p=WORLDNEWS.
- ^ “Honor to L’Enfant Tardy but Sincere.” Evening Star, April 28, 1909: 1.
- ^ Morgan, James Dudely. “The Reinterment of Major Pierre Charles L’Enfant.” Records of the Columbia Historical Society, Washington, D.C., Vol. 13 (1910), pp. 119-125,Historical Society of Washington, D.C. 120. https://www.jstor.org/stable/40067014.
- ^ "L'Enfant Disinterred." The Washington Post (1877-1922), Apr 23, 1909.
- ^ Morgan, James Dudely. “The Reinterment of Major Pierre Charles L’Enfant.” Records of the Columbia Historical Society, Washington, D.C., Vol. 13 (1910), pp. 119-125,Historical Society of Washington, D.C. 123-124. https://www.jstor.org/stable/40067014.
- ^ “Honor to L’Enfant Tardy but Sincere.” Evening Star, April 28, 1909: 1.
- ^ "Honor to L'Enfant: Memorial to City's Designer Unveiled at Arlington." The Washington Post (1877-1922), May 23, 1911. https://library.access.arlingtonva.us/login?url=https://search-proquest…;
- ^ "Historic Cane for President." The Washington Post (1877-1922), Jun 09, 1911. https://library.access.arlingtonva.us/login?url=https://search-proquest…;
- ^ "Honor to L'Enfant: Memorial to City's Designer Unveiled at Arlington." The Washington Post (1877-1922), May 23, 1911.